Raymond Henri Dietrich, Automotive Architect of the Classic Era & Beyond
by Necah Stewart Furman
“Throughout his career, he would contribute numerous innovations of long-lasting influence, and not all within the automotive field. One of his most significant contributions within the field, however, was his implementation in conjunction with partner Thomas L. Hibbard of the concept of ‘automotive architecture’—a creative business and production model adopted by other firms in the industry but perhaps none so successfully as by LeBaron, Carrossiers.”
# Materials data that have nothing to do with the entry
┌──
Run i
VASP calculation (GGA-PBE) on crystalline Ni2GeH at its relaxed geometry.

Computed properties:
Density, g/cm3: 7.4
Size of the total moment, μB/f.u.: 0.00
Fermi-level density of states, states/eV/f.u.: 1.1
Calculated volume, Å³ per atom: 10.8

abc: 4.853 4.853 7.317
angles: 90.00 90.00 90.00
Space group I-42d (No. 122)
Asymmetric unit:
Ni: 0.119 0.250 0.125 [8 per cell]
Ge: 0.000 0.000 0.500 [4 per cell]
H: 0.000 0.000 0.000 [4 per cell]

---

Run ii
VASP calculation (GGA-PBE) on crystalline Ni2GeH at its relaxed geometry.

Computed properties:
Density, g/cm3: 7.5
Size of the total moment, μB/f.u.: 0.00
Fermi-level density of states, states/eV/f.u.: 2.3
Calculated volume, Å³ per atom: 10.5

abc: 5.520 5.520 5.520
angles: 90.00 90.00 90.00
Space group Fm-3m (No. 225)
Asymmetric unit:
Ni: 0.250 0.250 0.250 [8 per cell]
Ge: 0.000 0.000 0.000 [4 per cell]
H: 0.000 0.000 0.500 [4 per cell]

---

Run iii
VASP calculation (GGA-PBE) on crystalline Ni2GeH at its relaxed geometry.

Computed properties:
Density, g/cm3: 8.0
Size of the total moment, μB/f.u.: 0.00
Fermi-level density of states, states/eV/f.u.: 1.4
Calculated volume, Å³ per atom: 9.9

abc: 7.391 2.817 7.641
angles: 90.00 90.00 90.00
Space group Pnma (No. 62)
Asymmetric unit:
Ni: 0.102 0.250 0.211 [4 per cell]
Ni: 0.135 0.250 0.578 [4 per cell]
Ge: 0.165 0.250 0.894 [4 per cell]
H: 0.004 0.750 0.600 [4 per cell]

---

Run iv
VASP calculation (GGA-PBE) on crystalline Ni2GeH at its relaxed geometry.

Computed properties:
Density, g/cm3: 7.8
Size of the total moment, μB/f.u.: 0.00
Fermi-level density of states, states/eV/f.u.: 1.6
Calculated volume, Å³ per atom: 10.2

abc: 3.568 3.568 6.412
angles: 90.00 90.00 90.00
Space group P4/nmm (No. 129, origin choice 2)
Asymmetric unit:
Ni: 0.250 0.250 0.197 [2 per cell]
Ni: 0.250 0.750 0.500 [2 per cell]
Ge: 0.250 0.250 0.823 [2 per cell]
H: 0.250 0.250 0.455 [2 per cell]

---

run iii takes first place; second place is 7.7 kJ/mol of atoms up.

---

Run i
VASP calculation (GGA-PBE) on crystalline Ni5GeH at its relaxed geometry.

Computed properties:
Density, g/cm3: 7.9
Size of the total moment, μB/f.u.: 0.00
Fermi-level density of states, states/eV/f.u.: 7.9
Calculated volume, Å³ per atom: 11.0

abc: 7.545 7.923 6.351
angles: 90.00 125.44 90.00
Space group C2/c (No. 15)
Asymmetric unit:
Ni: 0.000 0.113 0.250 [4 per cell]
Ni: 0.112 0.380 0.479 [8 per cell]
Ni: 0.208 0.127 0.743 [8 per cell]
Ge: 0.000 0.351 0.750 [4 per cell]
H: 0.000 0.000 0.000 [4 per cell]

---

Run ii
VASP calculation (GGA-PBE) on crystalline Ni5GeH at its relaxed geometry.

Computed properties:
Density, g/cm3: 8.3
Size of the total moment, μB/f.u.: 1.11
Fermi-level density of states, states/eV/f.u.: 9.2
Calculated volume, Å³ per atom: 10.4

abc: 3.517 3.517 5.906
angles: 90.00 90.00 90.00
Space group P4/mmm (No. 123)
Asymmetric unit:
Ni: 0.000 0.000 0.000 [1 per cell]
Ni: 0.000 0.500 0.302 [4 per cell]
Ge: 0.500 0.500 0.000 [1 per cell]
H: 0.000 0.000 0.500 [1 per cell]

---
└──
# Here the entry continues
This book is in many ways phenomenal. It will prove to be the authoritative biography of Raymond H. Dietrich (1894–1980), perhaps the most prolific designer of custom, semi-custom, and production automobile coachwork of what is now recognized as the Classic Era, essentially the period between the world wars. The highlights of Dietrich’s life story and six-decade career in automobile design have been told and retold many times, including by himself, in various publications with remarkable clarity and consistency, but due to inevitable space limitations, never before to the degree of detail covered in this magnificent 640-page book.

Foliage in a car book? The ever-thoughtful book designer Jodi Ellis found inspiration for design elements and colors in period advertisements.
Dietrich, it turns out, was a bit of a packrat, and we are the better off for it. Throughout his professional life he maintained copious files of his original designs and copies of documents that may have been of only marginal value to anyone perusing them at the time of their origination but have since proven to be of inestimable historical value to the automotive historian specializing in the Classic Era. Considering the extreme vicissitudes of fortune that are part and parcel of his life’s story, this is nothing less than fortuitous if not miraculous. The entirety of that vast collection of carefully preserved primary source historical documentation was made available to the author and much of it has found its way into print for the first time in this volume.
The author is not an automotive historian, but she holds a Ph.D. in Science and Technology and has previously written an award-winning biography, among other award-winning nonfiction works. Purely by coincidence, she and the Dietrichs were virtual neighbors in Albuquerque, New Mexico where they were introduced in the late 1970s by a mutual friend. After learning of Furman’s academic and literary credentials, Ray asked her to be his official biographer. None too soon, as things turned out. Ray Dietrich passed away unexpectedly in March 1980, but not before the bulk of the research, selection of materials for inclusion, and initial drafts were nearly complete. Every possible detail of interest is covered. It is perhaps the most thoroughly documented biography of a Classic Era automotive personage with the obvious exception of Henry Ford, or course. Furman’s initial copyright date for the manuscript is 1981. Why it took another forty years for it to be published is a story unto itself, perhaps for another time.

From as-found (above) to newly restored (below), the book illustrates a point auctioneer David Gooding makes in his foreword: “I’m thrilled to witness the long-standing appreciation for Ray Dietrich’s designs in the marketplace as some of his most coveted automobiles increasingly demand more and more value over time.”
~~~
Entry 1:
First-principles (PBE) data for a relaxed Hg2AsPb crystal, as listed in Alexandria via LeMat-Bulk.

The calculated volume comes out at 25.7 Å³ per atom. As for the energy of formation from the pure elements: 0.165 eV per atom. Its space-group type is No. 123. The density of states at the Fermi level is 2.1 states/eV/f.u. The total moment comes out at 0.000 μB per atom.

Cell lengths 4.382, 4.382, 5.347 Å; angles 90.00, 90.00, 90.00 degrees
Sites, in units of the cell vectors:
Hg (0.000, 0.500, 0.000)
Hg (0.500, 0.000, 0.000)
As (0.000, 0.000, 0.500)
Pb (0.500, 0.500, 0.500)


Entry 2:
First-principles (PBE) data for a relaxed Hg2AsPb crystal, as listed in Alexandria via LeMat-Bulk.

The calculated volume comes out at 25.4 Å³ per atom. As for the energy of formation from the pure elements: 0.171 eV per atom. Its space-group type is No. 139. The density of states at the Fermi level is 1.9 states/eV/f.u. The total moment comes out at 0.000 μB per atom.

Cell lengths 4.464, 4.464, 10.205 Å; angles 90.00, 90.00, 90.00 degrees
Sites, in units of the cell vectors:
Hg (0.000, 0.500, 0.250)
Hg (0.000, 0.500, 0.750)
Hg (0.500, 0.000, 0.250)
Hg (0.500, 0.000, 0.750)
As (0.000, 0.000, 0.000)
As (0.500, 0.500, 0.500)
Pb (0.000, 0.000, 0.500)
Pb (0.500, 0.500, 0.000)


Entry 3:
First-principles (PBE) data for a relaxed Hg12As5Pb3 crystal, as listed in Alexandria via LeMat-Bulk.

The calculated volume comes out at 29.5 Å³ per atom. As for the energy of formation from the pure elements: 0.171 eV per atom. Its space-group type is No. 230. The density of states at the Fermi level is 7.0 states/eV/f.u. The total moment comes out at 0.000 μB per atom.

Cell lengths 14.529, 14.529, 14.529 Å; angles 109.47, 109.47, 109.47 degrees
Sites, in units of the cell vectors:
Hg (0.043, 0.220, 0.117)
Hg (0.043, 0.323, 0.926)
Hg (0.074, 0.617, 0.398)
Hg (0.074, 0.957, 0.677)
Hg (0.102, 0.720, 0.677)
Hg (0.102, 0.883, 0.426)
Hg (0.117, 0.043, 0.220)
Hg (0.117, 0.574, 0.898)
Hg (0.177, 0.220, 0.602)
Hg (0.177, 0.457, 0.574)
Hg (0.220, 0.117, 0.043)
Hg (0.220, 0.602, 0.177)
Hg (0.280, 0.323, 0.898)
Hg (0.280, 0.457, 0.383)
Hg (0.323, 0.898, 0.280)
Hg (0.323, 0.926, 0.043)
Hg (0.383, 0.280, 0.457)
Hg (0.383, 0.602, 0.926)
Hg (0.398, 0.074, 0.617)
Hg (0.398, 0.823, 0.780)
Hg (0.426, 0.102, 0.883)
Hg (0.426, 0.823, 0.543)
Hg (0.457, 0.383, 0.280)
Hg (0.457, 0.574, 0.177)
Hg (0.543, 0.426, 0.823)
Hg (0.543, 0.617, 0.720)
Hg (0.574, 0.177, 0.457)
Hg (0.574, 0.898, 0.117)
Hg (0.602, 0.177, 0.220)
Hg (0.602, 0.926, 0.383)
Hg (0.617, 0.398, 0.074)
Hg (0.617, 0.720, 0.543)
Hg (0.677, 0.074, 0.957)
Hg (0.677, 0.102, 0.720)
Hg (0.720, 0.543, 0.617)
Hg (0.720, 0.677, 0.102)
Hg (0.780, 0.398, 0.823)
Hg (0.780, 0.883, 0.957)
Hg (0.823, 0.543, 0.426)
Hg (0.823, 0.780, 0.398)
Hg (0.883, 0.426, 0.102)
Hg (0.883, 0.957, 0.780)
Hg (0.898, 0.117, 0.574)
Hg (0.898, 0.280, 0.323)
Hg (0.926, 0.043, 0.323)
Hg (0.926, 0.383, 0.602)
Hg (0.957, 0.677, 0.074)
Hg (0.957, 0.780, 0.883)
~~~
Dalton Watson Fine Books has done a spectacular job in producing this eight-pound opus. The landscape format opens to a full 24 inches which allows for full-page portraits of cars in profile without having to spill into or across the gutter. The two-column format makes for easy reading, as does the somewhat larger than typical font used for the text. Marbled endpapers add a touch of bygone elegance one rarely sees today. With only a very few exceptions, the photographic and line drawing reproduction is exemplary throughout, as is customary of this publisher. The photographs number over 600, many of which have not been previously published. It is quite simply a beautifully done book of the highest production standards aimed squarely at the serious student of the Classic Era in America. In that regard, it will not disappoint. The bibliography and multiple indices are encyclopedic, to say the least, ensuring this to be a seriously useful reference tool. However (ahem), it is not perfect.
The author gets off to a solid start, with the first third to half of the book being a pleasure to read. But then the “gremlins” start making their appearances. The perfect book has yet to be published so a few typos or misspellings are to be expected, but unfortunately, they become more numerous the deeper one gets into the text. Many of them are errors in photo captions, such as the year of the car being incorrect (several of these), but there is an instance of a large nearly full-page photo of a 1931 Franklin being used twice, once labeled as a 1927 Lincoln (ouch!) but then correctly identified in its second appearance much later in the text. And there are a few errors in fact that found their way into print, but these involve “sidebar” details that are not a part of the main story, so they do not undermine the overall accuracy of the core work. Multiple sets of eyes were on the book during production so it is disappointing to have to note such irritating glitches, and the only reason for mentioning them here is to manage expectations of potential purchasers of an expensive book. Does this diminish the value of the book as a historical record? In no way! The book, as an important historical work unlikely to be equaled, stands on its own merits. It’s just not quite as perfect as one would hope.

And now for something completely different . . .
In many ways, the best is saved for last. There’s a nice selection of historical classic coachwork photos interspersed throughout the main body, but the seventy-plus page “Cavalcade of Dietrich Design Work” appendix following the main text is the icing on the cake. The highlighted final Dietrich designs on the 1932–34 Packards were simply among the most beautiful of the beautiful with their delicate chrome-framed V-windshields, gracefully dipped coach sills, and their perfect surface contour development that are Dietrich’s high-water mark of the Classic Era. Everything about their proportions and details is just perfect. True works of automotive sculpture at its finest, beautifully displayed!
All in all, despite its flaws, I’m very pleased to have it on my bookshelf. And it was worth the wait.
Copyright 2024, Mark Dwyer (speedreaders.info)